18
Lattice="4.982 0.000 0.000 -2.491 4.314 0.000 0.000 0.000 8.918" Properties=species:S:1:pos:R:3 comment="AlVTeO6, relaxed, DFT GGA+U" final_energy_ry_per_atom=-0.496 m_tot_mub_per_fu=2.00 pbc="T T T"
Al 0.000 2.876 2.229
Al 2.491 1.438 6.688
V 0.000 0.000 0.000
V 0.000 0.000 4.459
Te 0.000 2.876 6.688
Te 2.491 1.438 2.229
O -0.845 1.509 1.185
O -1.607 2.828 3.273
O 0.845 1.509 3.273
O -0.762 4.292 1.185
O 1.729 0.023 5.644
O 0.884 1.486 7.732
O 1.607 2.828 1.185
O 0.762 4.292 3.273
O 3.253 0.023 7.732
O 1.646 2.806 5.644
O 4.098 1.486 5.644
O 3.336 2.806 7.732

Now reproduce everything further up without altering anything.

18
Lattice="4.982 0.000 0.000 -2.491 4.314 0.000 0.000 0.000 8.918" Properties=species:S:1:pos:R:3 comment="AlVTeO6, relaxed, DFT GGA+U" final_energy_ry_per_atom=-0.496 m_tot_mub_per_fu=2.00 pbc="T T T"
Al 0.000 2.876 2.229
Al 2.491 1.438 6.688
V 0.000 0.000 0.000
V 0.000 0.000 4.459
Te 0.000 2.876 6.688
Te 2.491 1.438 2.229
O -0.845 1.509 1.185
O -1.607 2.828 3.273
O 0.845 1.509 3.273
O -0.762 4.292 1.185
O 1.729 0.023 5.644
O 0.884 1.486 7.732
O 1.607 2.828 1.185
O 0.762 4.292 3.273
O 3.253 0.023 7.732
O 1.646 2.806 5.644
O 4.098 1.486 5.644
O 3.336 2.806 7.732